Material
........
Theoretical XRD peak list of RbNaCe2Se4 for Cu Kα (weighted mean of Kα1 and Kα2), from DFT lattice parameters and positions (PBE).
Neutral-atom scattering factors, no anomalous dispersion.

Structural model:
Unit cell a=8.766 b=8.984 c=12.592 alpha=90.00 beta=90.00 gamma=90.00
Space group Imma (No. 74)
Unique sites:
Rb (0.250, 0.250, 0.250) x4
Na (0.000, 0.000, 0.000) x4
Ce (0.000, 0.000, 0.500) x4
Ce (0.250, 0.250, 0.750) x4
Se (0.000, 0.029, 0.739) x8
Se (0.234, 0.250, 0.514) x8

Principal peaks in the range 10° ≤ 2θ ≤ 90°, sorted by position:
2theta  I/Imax
12.30  29
28.35  50
28.45  100
40.15  18
40.60  73
41.19  18
49.88  18
50.76  19
66.46  15
66.61  15

* * * * *

Starting from the PBE geometry in the Materials Project, the powder diffraction line list of SmTiGe was calculated for Cu Ka.
Intensities are scaled so that the largest is 100.

Largest 8 diffraction maxima, low angle first, 2θ from 10° to 80°:
2θ 30.78, I 69, (1 1 0); 2θ 31.49, I 100, (1 0 2); 2θ 32.87, I 57, (1 1 1); 2θ 34.20, I 24, (0 0 3); 2θ 38.53, I 75, (1 1 2); 2θ 44.09, I 61, (2 0 0); 2θ 55.18, I 41, (2 1 2); 2θ 63.30, I 25, (1 0 5)

Structure:
abc: 4.108 4.108 7.866
angles: 90.00 90.00 90.00
Sites, in units of the cell vectors:
Sm  0.250  0.250  0.155
Sm  0.750  0.750  0.845
Ti  0.250  0.750  0.500
Ti  0.750  0.250  0.500
Ge  0.250  0.250  0.733
Ge  0.750  0.750  0.267

* * * * *

Record 1
Structure and simulated XRD peak list of K2Li2CuBr2O2 (a cell relaxed with GGA-PBE; λ = 1.5418 Å (Cu Kα)).
Kinematic intensities with the Lorentz-polarization factor, no thermal factor.

Cell and atoms:
```
data_K2Li2CuBr2O2
_chemical_formula_sum 'K4 Li4 Cu2 Br4 O4'
_symmetry_space_group_name_H-M 'I 4/m m m'
_symmetry_Int_Tables_number 139
_symmetry_space_group_name_Hall '-I 4 2'
_cell_length_a 4.1200
_cell_length_b 4.1200
_cell_length_c 23.6491
_cell_angle_alpha 90.00
_cell_angle_beta 90.00
_cell_angle_gamma 90.00
loop_
_atom_site_label
_atom_site_fract_x
_atom_site_fract_y
_atom_site_fract_z
K1 0.0000 0.0000 0.0687
Li1 0.0000 0.5000 0.2500
Cu1 0.0000 0.0000 0.5000
Br1 0.0000 0.0000 0.3113
O1 0.0000 0.5000 0.0000
```

Largest 10 diffraction maxima, by intensity, 2θ from 5° to 70°:
2theta  I (rel.)  hkl
28.74  100  1 0 5
30.69  43  1 1 0
53.36  33  2 1 5
43.95  26  2 0 0
24.38  23  1 0 3
14.98  20  0 0 4
43.62  19  1 1 8
47.72  15  1 0 11
22.56  11  0 0 6
66.88  10  2 1 11


Record 2
Structure and simulated XRD peak list of Nd3Ti3Se2O8 (a cell relaxed with GGA-PBE; λ = 1.5418 Å (Cu Kα)).
Kinematic intensities with the Lorentz-polarization factor, no thermal factor.

Cell and atoms:
```
data_Nd3Ti3Se2O8
_chemical_formula_sum 'Nd6 Ti6 Se4 O16'
_symmetry_space_group_name_H-M 'P 1 21/m 1'
_symmetry_Int_Tables_number 11
_symmetry_space_group_name_Hall '-P 2yb'
_cell_length_a 9.9331
_cell_length_b 3.9461
_cell_length_c 13.6129
_cell_angle_alpha 90.00
_cell_angle_beta 111.05
_cell_angle_gamma 90.00
loop_
_atom_site_label
_atom_site_fract_x
_atom_site_fract_y
_atom_site_fract_z
Nd1 0.1120 0.2500 0.1622
Nd2 0.1794 0.2500 0.5887
Nd3 0.3309 0.2500 0.9150
Ti1 0.2130 0.7500 0.3992
Ti2 0.4536 0.7500 0.7682
Ti3 0.4558 0.2500 0.4119
Se1 0.1379 0.7500 0.7476
Se2 0.1785 0.7500 0.0169
O1 0.0831 0.7500 0.4699
O2 0.1356 0.7500 0.2578
O3 0.2534 0.2500 0.4279
O4 0.3599 0.7500 0.6083
O5 0.3755 0.2500 0.2532
O6 0.4042 0.2500 0.7616
O7 0.4270 0.7500 0.4266
O8 0.4752 0.7500 0.9143
```

Largest 10 diffraction maxima, by intensity, 2θ from 5° to 70°:
2theta  I (rel.)  hkl
28.90  100  2 1 -1
27.60  92  2 0 2
32.26  87  2 1 -3
30.98  79  0 1 3
34.79  70  1 1 -4
46.00  65  0 2 0
30.02  58  1 1 2
35.58  57  3 1 -2
19.20  55  2 0 -2
36.85  52  3 0 -5


Record 3
Structure and simulated XRD peak list of SiNi3W2 (a cell relaxed with GGA-PBE; λ = 1.5418 Å (Cu Kα)).
Kinematic intensities with the Lorentz-polarization factor, no thermal factor.

Cell and atoms:
```
data_SiNi3W2
_chemical_formula_sum 'Si4 Ni12 W8'
_symmetry_space_group_name_H-M 'A m m 2'
_symmetry_Int_Tables_number 38
........

Assignment
Next, retype the lines further up up to the one that holds "43.62", that line included.

Worked solution
Theoretical XRD peak list of RbNaCe2Se4 for Cu Kα (weighted mean of Kα1 and Kα2), from DFT lattice parameters and positions (PBE).
Neutral-atom scattering factors, no anomalous dispersion.

Structural model:
Unit cell a=8.766 b=8.984 c=12.592 alpha=90.00 beta=90.00 gamma=90.00
Space group Imma (No. 74)
Unique sites:
Rb (0.250, 0.250, 0.250) x4
Na (0.000, 0.000, 0.000) x4
Ce (0.000, 0.000, 0.500) x4
Ce (0.250, 0.250, 0.750) x4
Se (0.000, 0.029, 0.739) x8
Se (0.234, 0.250, 0.514) x8

Principal peaks in the range 10° ≤ 2θ ≤ 90°, sorted by position:
2theta  I/Imax
12.30  29
28.35  50
28.45  100
40.15  18
40.60  73
41.19  18
49.88  18
50.76  19
66.46  15
66.61  15

* * * * *

Starting from the PBE geometry in the Materials Project, the powder diffraction line list of SmTiGe was calculated for Cu Ka.
Intensities are scaled so that the largest is 100.

Largest 8 diffraction maxima, low angle first, 2θ from 10° to 80°:
2θ 30.78, I 69, (1 1 0); 2θ 31.49, I 100, (1 0 2); 2θ 32.87, I 57, (1 1 1); 2θ 34.20, I 24, (0 0 3); 2θ 38.53, I 75, (1 1 2); 2θ 44.09, I 61, (2 0 0); 2θ 55.18, I 41, (2 1 2); 2θ 63.30, I 25, (1 0 5)

Structure:
abc: 4.108 4.108 7.866
angles: 90.00 90.00 90.00
Sites, in units of the cell vectors:
Sm  0.250  0.250  0.155
Sm  0.750  0.750  0.845
Ti  0.250  0.750  0.500
Ti  0.750  0.250  0.500
Ge  0.250  0.250  0.733
Ge  0.750  0.750  0.267

* * * * *

Record 1
Structure and simulated XRD peak list of K2Li2CuBr2O2 (a cell relaxed with GGA-PBE; λ = 1.5418 Å (Cu Kα)).
Kinematic intensities with the Lorentz-polarization factor, no thermal factor.

Cell and atoms:
```
data_K2Li2CuBr2O2
_chemical_formula_sum 'K4 Li4 Cu2 Br4 O4'
_symmetry_space_group_name_H-M 'I 4/m m m'
_symmetry_Int_Tables_number 139
_symmetry_space_group_name_Hall '-I 4 2'
_cell_length_a 4.1200
_cell_length_b 4.1200
_cell_length_c 23.6491
_cell_angle_alpha 90.00
_cell_angle_beta 90.00
_cell_angle_gamma 90.00
loop_
_atom_site_label
_atom_site_fract_x
_atom_site_fract_y
_atom_site_fract_z
K1 0.0000 0.0000 0.0687
Li1 0.0000 0.5000 0.2500
Cu1 0.0000 0.0000 0.5000
Br1 0.0000 0.0000 0.3113
O1 0.0000 0.5000 0.0000
```

Largest 10 diffraction maxima, by intensity, 2θ from 5° to 70°:
2theta  I (rel.)  hkl
28.74  100  1 0 5
30.69  43  1 1 0
53.36  33  2 1 5
43.95  26  2 0 0
24.38  23  1 0 3
14.98  20  0 0 4
43.62  19  1 1 8